_Assignment_
It remains to work out how many lines underneath have the word "for" in them; a number is enough.
_Excerpt_
Record 1
Computed, not measured: crystalline Fe3O5F at its relaxed geometry at the PBE with a Hubbard U level of DFT.

Lattice parameters (Å, degrees): 4.644 5.546 7.601 85.22 89.82 89.81
Space group P1 (No. 1)
Symmetry-distinct sites (fractional):
Fe 0.000 0.000 0.000 [1 per cell]
Fe 0.002 0.654 0.313 [1 per cell]
Fe 0.012 0.317 0.663 [1 per cell]
Fe 0.505 0.161 0.330 [1 per cell]
Fe 0.522 0.478 0.991 [1 per cell]
Fe 0.550 0.832 0.655 [1 per cell]
O 0.204 0.946 0.217 [1 per cell]
O 0.206 0.281 0.894 [1 per cell]
O 0.320 0.452 0.227 [1 per cell]
O 0.326 0.124 0.558 [1 per cell]
O 0.705 0.196 0.110 [1 per cell]
O 0.708 0.867 0.420 [1 per cell]
O 0.709 0.525 0.759 [1 per cell]
O 0.817 0.701 0.081 [1 per cell]
O 0.823 0.024 0.773 [1 per cell]
O 0.827 0.368 0.435 [1 per cell]
F 0.215 0.632 0.563 [1 per cell]
F 0.317 0.784 0.884 [1 per cell]

## Properties
The value obtained for the magnetization is 13.0 μB/f.u. As for the calculated total energy: -6.116 eV/atom. As for the formation energy: -1516 meV per atom.

Record 2
Computed, not measured: crystalline Fe4OF7 at its relaxed geometry at the PBE with a Hubbard U level of DFT.

Lattice parameters (Å, degrees): 9.567 6.568 4.792 90.00 91.49 90.00
Space group Cm (No. 8)
Symmetry-distinct sites (fractional):
Fe 0.000 0.000 0.000 [2 per cell]
Fe 0.014 0.500 0.019 [2 per cell]
Fe 0.247 0.256 0.489 [4 per cell]
O 0.152 0.500 0.290 [2 per cell]
F 0.097 0.259 0.803 [4 per cell]
F 0.149 0.000 0.300 [2 per cell]
F 0.354 0.000 0.709 [2 per cell]
F 0.355 0.500 0.697 [2 per cell]
F 0.404 0.236 0.190 [4 per cell]

## Properties
The value obtained for the magnetization is 17.0 μB/f.u. As for the calculated total energy: -5.681 eV/atom. As for the formation energy: -2408 meV per atom.

Q: The lowest calculated total energy belongs to which entry?
A: Fe3O5F

Q: Which of these has the highest calculated total energy?
A: Fe4OF7

Copy entry 1 word for word.
Computed, not measured: crystalline Fe3O5F at its relaxed geometry at the PBE with a Hubbard U level of DFT.

Lattice parameters (Å, degrees): 4.644 5.546 7.601 85.22 89.82 89.81
Space group P1 (No. 1)
Symmetry-distinct sites (fractional):
Fe 0.000 0.000 0.000 [1 per cell]
Fe 0.002 0.654 0.313 [1 per cell]
Fe 0.012 0.317 0.663 [1 per cell]
Fe 0.505 0.161 0.330 [1 per cell]
Fe 0.522 0.478 0.991 [1 per cell]
Fe 0.550 0.832 0.655 [1 per cell]
O 0.204 0.946 0.217 [1 per cell]
O 0.206 0.281 0.894 [1 per cell]
O 0.320 0.452 0.227 [1 per cell]
O 0.326 0.124 0.558 [1 per cell]
O 0.705 0.196 0.110 [1 per cell]
O 0.708 0.867 0.420 [1 per cell]
O 0.709 0.525 0.759 [1 per cell]
O 0.817 0.701 0.081 [1 per cell]
O 0.823 0.024 0.773 [1 per cell]
O 0.827 0.368 0.435 [1 per cell]
F 0.215 0.632 0.563 [1 per cell]
F 0.317 0.784 0.884 [1 per cell]

## Properties
The value obtained for the magnetization is 13.0 μB/f.u. As for the calculated total energy: -6.116 eV/atom. As for the formation energy: -1516 meV per atom.

=====

# 1
VASP calculation (PBE-GGA) on crystalline CsSi at its relaxed geometry.

a b c (Å): 11.4765 11.4765 18.6565
angles (deg): 90.00 90.00 90.00
Space group I4_1/acd (No. 142, origin choice 2)
Asymmetric unit:
1 Cs 0.1209 0.1291 0.1250 (multiplicity 16)
2 Cs 0.1405 0.0000 0.7500 (multiplicity 16)
3 Si 0.0568 0.1601 0.9208 (multiplicity 32)

ΔH_f (0 K) = -0.0013 eV per atom
Excess energy over the best structure of this formula in the dataset = 4.5 kJ/mol of formula units

---

# 2
VASP calculation (PBE-GGA) on crystalline CsSiTe3 at its relaxed geometry.

a b c (Å): 8.6580 14.3023 13.6817
angles (deg): 90.00 100.58 90.00
Space group Cc (No. 9)
Asymmetric unit:
1 Cs 0.0000 0.0895 0.0000 (multiplicity 4)
2 Cs 0.4043 0.2495 0.2235 (multiplicity 4)
3 Si 0.0437 0.4438 0.0243 (multiplicity 4)
4 Si 0.4049 0.0745 0.7804 (multiplicity 4)
5 Te 0.0161 0.3860 0.4615 (multiplicity 4)
6 Te 0.1330 0.4955 0.2080 (multiplicity 4)
7 Te 0.1710 0.0278 0.2802 (multiplicity 4)
8 Te 0.2363 0.3478 0.9582 (multiplicity 4)
9 Te 0.2670 0.1320 0.4978 (multiplicity 4)
_Solution_
4